**Job:**
Please say how many lines of the block underneath hold the word "energy", as a bare number.
**Given:**
'''
[1]
Entry from the Materials Project: an optimized crystal structure of Li2CrCo3O8 (PBE+U).

* energy above the lowest structure with this stoichiometry: 0.0435 eV/atom
* V: 9.396 A^3/atom
* size of the total moment: 5.00 μB per formula unit
* crystal system: cubic
* energy of formation from the pure elements: -1.6553 eV per atom

Lattice parameters (Å, degrees): 8.073 8.073 8.073 90.00 90.00 90.00
Atoms (fractional coordinates):
Li  0.000  0.000  0.000
Li  0.000  0.500  0.500
Li  0.250  0.250  0.250
Li  0.250  0.750  0.750
Li  0.500  0.000  0.500
Li  0.500  0.500  0.000
Li  0.750  0.250  0.750
Li  0.750  0.750  0.250
Cr  0.125  0.875  0.375
Cr  0.375  0.125  0.875
Cr  0.625  0.625  0.625
Cr  0.875  0.375  0.125
Co  0.122  0.128  0.625
Co  0.125  0.378  0.872
Co  0.128  0.625  0.122
Co  0.372  0.375  0.622
Co  0.375  0.622  0.372
Co  0.378  0.872  0.125
Co  0.622  0.372  0.375
Co  0.625  0.122  0.128
Co  0.628  0.875  0.878
Co  0.872  0.125  0.378
Co  0.875  0.878  0.628
Co  0.878  0.628  0.875
O  0.108  0.113  0.389
O  0.111  0.892  0.613
O  0.112  0.612  0.888
O  0.113  0.389  0.108
O  0.137  0.142  0.861
O  0.138  0.362  0.638
O  0.139  0.637  0.358
O  0.142  0.861  0.137
O  0.358  0.139  0.637
O  0.361  0.363  0.858
O  0.362  0.638  0.138
O  0.363  0.858  0.361
O  0.387  0.611  0.608
O  0.388  0.388  0.388
O  0.389  0.108  0.113
O  0.392  0.887  0.889
O  0.608  0.387  0.611
O  0.611  0.608  0.387
O  0.612  0.888  0.112
O  0.613  0.111  0.892
O  0.637  0.358  0.139
O  0.638  0.138  0.362
O  0.639  0.863  0.642
O  0.642  0.639  0.863
O  0.858  0.361  0.363
O  0.861  0.137  0.142
O  0.862  0.862  0.862
O  0.863  0.642  0.639
O  0.887  0.889  0.392
O  0.888  0.112  0.612
O  0.889  0.392  0.887
O  0.892  0.613  0.111

[2]
Entry from the Materials Project: an optimized crystal structure of Li4Cr3CoO8 (PBE+U).

* energy above the lowest structure with this stoichiometry: 0.0012 eV/atom
* V: 8.963 A^3/atom
* size of the total moment: 9.00 μB per formula unit
* crystal system: triclinic
* energy of formation from the pure elements: -2.2317 eV per atom

Lattice parameters (Å, degrees): 5.109 5.861 10.564 73.91 76.20 73.35
Atoms (fractional coordinates):
Li  0.000  0.191  0.373
Li  0.000  0.809  0.627
Li  0.002  0.441  0.871
Li  0.006  0.933  0.875
Li  0.008  0.684  0.374
Li  0.992  0.316  0.626
Li  0.994  0.067  0.125
Li  0.998  0.559  0.129
Cr  0.500  0.000  0.500
Cr  0.500  0.125  0.750
Cr  0.500  0.252  0.000
Cr  0.500  0.500  0.500
Cr  0.500  0.748  0.000
Cr  0.500  0.875  0.250
Co  0.500  0.375  0.250
Co  0.500  0.625  0.750
O  0.273  0.089  0.936
O  0.273  0.839  0.435
O  0.276  0.707  0.187
O  0.277  0.340  0.432
O  0.277  0.590  0.932
O  0.277  0.958  0.687
O  0.278  0.218  0.186
O  0.278  0.466  0.687
O  0.722  0.534  0.313
O  0.722  0.782  0.814
O  0.723  0.042  0.313
O  0.723  0.410  0.068
O  0.723  0.660  0.568
O  0.724  0.293  0.813
O  0.727  0.161  0.565
O  0.727  0.911  0.064

=====

w | Ba2CaPd3O6 after structural relaxation, computed with GGA-PBE.

Cell: 9.576 8.822 7.312 Å, 72.13 61.26 46.61°
Element x y z (fractional)
Ba 0.750 0.750 0.750
Ba 0.250 0.250 0.250
Ba 0.233 0.767 0.233
Ba 0.767 0.233 0.767
Ca 0.671 0.671 0.329
Ca 0.329 0.329 0.671
Pd 0.690 0.006 0.310
Pd 0.994 0.310 0.006
Pd 0.006 0.690 0.994
Pd 0.310 0.994 0.690
Pd 0.325 0.675 0.675
Pd 0.675 0.325 0.325
O 0.328 0.469 0.906
O 0.297 0.906 0.469
O 0.906 0.297 0.328
O 0.469 0.328 0.297
O 0.672 0.531 0.094
O 0.703 0.094 0.531
O 0.687 0.922 0.078
O 0.531 0.672 0.703
O 0.922 0.687 0.313
O 0.078 0.313 0.687
O 0.313 0.078 0.922
O 0.094 0.703 0.672

Output
Theoretical density: 6.16 Mg/m³

---

x | Ba2CaPd3O6 after structural relaxation, computed with GGA-PBE.

Cell: 9.576 8.822 7.312 Å, 72.13 61.26 46.61°
Element x y z (fractional)
Ba 0.245 0.248 0.254
Ba 0.748 0.753 0.744
Ba 0.762 0.236 0.765
Ba 0.231 0.764 0.239
Ca 0.673 0.675 0.325
Ca 0.327 0.326 0.676
Pd 0.689 0.010 0.314
Pd 0.993 0.308 0.001
Pd 0.007 0.695 0.994
Pd 0.317 0.987 0.687
Pd 0.324 0.672 0.671
'''
**Worked solution:**
4